Could you count the lines below that contain the word "formula" and give the number alone?
=====
No. 1
# C3H7O3Y

A structure of composition C3H7O3Y at a distorted geometry (wB97M-V/def2-TZVPD, the Open Molecules 2025 dataset).

As for the HOMO energy (alpha / beta): -0.536 / -0.529 hartree. The gap between HOMO and LUMO (alpha / beta) is 9.27 / 8.51 eV. Its total charge is +1. Its total energy is -10401.551 eV. The calculation puts the energy above the lowest of the compared OMol25 structures with the same formula, charge and spin at 0.8325 eV. Its multiplicity is 2.

```
14
Properties=species:S:1:pos:R:3:mulliken_charge:R:1
O 0.39 2.08 -0.11 -0.703
C -0.85 1.45 -0.19 -0.249
C -0.88 0.22 0.71 -0.458
O 0.30 -0.57 0.47 -0.450
C 0.13 -1.67 -0.40 -0.688
H -1.08 1.14 -1.23 0.271
H -1.68 2.11 0.12 0.351
H -1.77 -0.40 0.56 0.428
H -0.83 0.53 1.77 0.278
H -0.45 -2.46 0.10 0.280
H -0.37 -1.36 -1.33 0.380
Y 2.02 0.94 0.24 1.813
O 3.91 0.02 -0.03 -0.557
H 1.15 -2.04 -0.66 0.305
```

No. 2
# C6H12O

A cluster of 2 separate species, C6H12O in total at a distorted geometry (wB97M-V/def2-TZVPD, the Open Molecules 2025 dataset).

As for the HOMO energy: -0.326 hartree. The gap between HOMO and LUMO is 9.98 eV. Its total energy is -8462.026 eV. The calculation puts the energy above the lowest of the compared OMol25 structures with the same formula, charge and spin at 2.3280 eV.

```
19
Properties=species:S:1:pos:R:3:nbo_charge:R:1
C -0.73 1.88 1.15 -0.390
C -0.79 0.56 0.97 -0.196
C -1.23 -0.06 -0.32 -0.487
C -1.09 -1.57 -0.58 -0.611
H -0.49 2.31 2.11 0.202
H -0.86 2.57 0.32 0.200
H -0.73 -0.13 1.81 0.196
H -1.08 0.55 -1.21 0.220
H -2.26 0.12 0.00 0.247
H -2.03 -1.91 -1.02 0.216
H -0.30 -1.89 -1.26 0.203
H -0.95 -2.12 0.36 0.208
C 2.02 -0.55 0.00 -0.735
C 1.43 0.60 -0.78 0.437
O 1.39 1.72 -0.36 -0.526
H 1.58 -0.63 1.00 0.245
H 1.93 -1.51 -0.52 0.217
H 3.08 -0.31 0.13 0.247
H 1.09 0.37 -1.81 0.107
```

No. 3
# C21H43O16

A cluster of 6 separate species, C21H43O16 in total at a distorted geometry (wB97M-V/def2-TZVPD, the Open Molecules 2025 dataset).

As for the HOMO energy: -0.094 hartree. The gap between HOMO and LUMO is 4.92 eV. Its total charge is -1. Its total energy is -55227.508 eV. The calculation puts the energy above the lowest of the compared OMol25 structures with the same formula, charge and spin at 6.2402 eV.

```
80
Properties=species:S:1:pos:R:3:mulliken_charge:R:1
C 0.46 0.57 0.47 1.505
O 1.10 0.54 1.73 -0.981
H -0.01 -0.41 0.33 0.072
H -0.36 1.29 0.51 -0.507
H 1.12 0.85 -0.34 -0.582
C 1.70 2.31 -1.84 -0.478
C 2.65 2.18 -3.01 -1.054
O 2.07 2.63 -4.19 -0.293
C 1.15 1.89 -4.86 0.716
O 0.53 0.83 -4.50 -0.591
O 0.96 2.49 -6.05 -0.322
C -0.07 2.09 -6.90 -0.691
H 2.17 1.94 -0.93 0.460
H 0.86 1.63 -1.94 0.283
H 1.27 3.30 -1.66 0.707
H 2.83 1.12 -3.13 0.369
H 3.62 2.64 -2.84 0.270
H -1.08 2.14 -6.51 0.299
H 0.03 1.10 -7.35 0.307
H 0.02 2.67 -7.82 0.268
C -1.06 -2.29 -0.98 0.727
C -1.59 -3.70 -0.58 -0.462
O -2.54 -3.66 0.49 -0.348
C -2.21 -3.40 1.79 0.835
O -1.16 -3.00 2.26 -0.519
O -3.25 -3.72 2.56 -0.415
C -3.28 -3.48 3.94 -0.444
H -1.84 -1.65 -1.40 0.313
H -0.27 -2.49 -1.70 0.357
H -0.68 -1.86 -0.06 -1.193
H -0.79 -4.29 -0.14 0.343
H -2.08 -4.19 -1.42 0.284
H -2.37 -3.81 4.45 0.292
H -4.18 -3.97 4.30 0.259
H -3.38 -2.40 4.09 0.088
C -1.67 3.59 -1.12 -0.888
C -0.68 4.75 -1.08 -0.612
O 0.48 4.35 -0.37 -0.385
C 0.62 4.59 0.88 0.803
O -0.09 5.32 1.57 -0.660
O 1.79 4.07 1.44 -0.328
C 2.62 3.15 0.72 -0.146
H -2.29 3.54 -0.22 0.349
H -1.22 2.60 -1.26 0.092
H -2.49 3.67 -1.83 0.518
=====
3